(Disassociated Press) Breaking News 7:40 PM EST Two tom turkeys pardoned earlier today by President Bush, and given a police escort to Reagan International airport for a first-class flight to Disneyland, were unexpectedly placed on a CIA “extraordinary rendition” flight to Jordan instead.
While the White House had no official comment, one very senior administration official admitted,from the side of his mouth, on super-secret deep background, that the birds have already undergone several hours of intense interrogation while in-flight, exploring unpatriotic remarks they allegedly made about all the chickenhawks present at today’s Rose Garden ceremony.
No effort will be made to retrieve them, as burnt feathers, deep bruising, and herniated wishbones have rendered them “unfit for display at Disneyland,” our extremely senior source said. They join tens of thousands of other enemy combatants being held somewhere beyond civilization as we once knew it.
EXTRA EXTRA: In keeping with the holday season, and the new American spirit of unrestrained, worldwide torture, we present below the winning entries by Ms. Lynddie Blavatsky’s fifth-graders here at P.S. 911 (Girl’s School of Goth), in Peoria, who have yet again won our annual Thanksgiving Limerick Contest this year:
I raised my own turkey this year
It’s nearly the size of a steer
It was real hard to hatch it
It’s harder to catch it
Perhaps I should try second gear . . .
— Slender Chaos
So, you can’t stand the kitchen heat
Yet you cannot admit defeat
Well, just shout Ooo-rah!
Try some old Shock n’ Awe –
Hit that bird with some Willy Pete!
— Rack Baby
The leaves have turned russet and gold
The weather’s turned icy and cold
My pet turkey Fred
Is lying here dead
Gawd I hate to eat something this old
— Glitter Grrl
My father went off to Iraq
And he’s never coming back
A really neat guy
Sent to die
For Cheney and Bush and PNAC
— Latex Life
Drive around with that bird on your fender!
Shove his wattle into the blender!
Make him stand on a pail!
(1)
A plane-wave DFT calculation with PBE was carried out for Ta5Si3N after structural relaxation.

Cell: 7.4728 7.4728 5.4187 Å, 90.00 90.00 120.00°
Space group P6_3/mcm (No. 193)
One atom of each set of equivalent atoms:
Ta 0.0000 0.2351 0.2500
Ta 0.3333 0.6667 0.0000
Si 0.0000 0.4047 0.7500
N 0.0000 0.0000 0.0000

Calculated values
The calculation puts the calculated volume at 14.56 Å³ per atom. The formation energy comes out at -0.73 eV per atom. Its total energy is -180.18 eV for the cell shown. The total energy after the MP2020 corrections comes out at -10.050 eV/atom.

---

(2)
A plane-wave DFT calculation with PBE was carried out for Ti3Si6N11 after structural relaxation.

Cell: 9.7225 9.7225 4.8105 Å, 90.00 90.00 90.00°
Space group P4bm (No. 100)
One atom of each set of equivalent atoms:
Ti 0.0000 0.0000 0.0000
Ti 0.1969 0.3031 0.9669
Si 0.0828 0.7970 0.5616
Si 0.1197 0.6197 0.0803
N 0.0000 0.5000 0.1259
N 0.0752 0.1818 0.7114
N 0.0895 0.7881 0.2051
N 0.1571 0.6571 0.7299

Calculated values
The calculation puts the calculated volume at 11.37 Å³ per atom. The formation energy comes out at -1.10 eV per atom. Its total energy is -331.86 eV for the cell shown. The total energy after the MP2020 corrections comes out at -8.495 eV/atom.
Here the entry continues >
Make his organs fail!
Torture makes turkey taste tender.
— Dissin Grace
My Mom died in Baghdad last summer
Which is, like, a major bummer
Her Captain said, “Sorry
These remains are gory.
She was inside an unarmored Hummer.”
— Sorrow Serene
Contributions to our school’s Counseling Fund are clearly needed, and gratefully accepted.
For those who don’t know where Peoria’s at, well neither do we anymore.
good diary. hugs and happy thanksgiving.
I’m hoping that those birds get their frequent flier miles. Happy Thanksgiving!